We caught up with Alice recently, and she shared her personal insights into life after retirement from competitive swimming.
In her personal blog, SOUL CAP ambassador Alice Dearing reflects on stepping away from the structured demands of a competitive career and embracing the freedom to explore new interests. With honesty and nostalgia, Alice opens up about this new chapter and her evolving relationship with the sport she’s loved for so long.
Next to the text, the page also holds data records >
4
Lattice="-0.422 -2.071 2.087 -1.609 -2.811 -3.116 4.430 -0.741 0.160" Properties=species:S:1:pos:R:3 comment="ReSi2Se, relaxed, DFT PBEsol" formation_energy_uncorrected_ev_per_atom=0.401 pbc="T T T"
Si -0.804 -1.406 -1.558
Si 2.215 -0.371 0.080
Se -0.211 -1.035 1.043
Re 1.200 -2.812 -0.434

---

5
Lattice="5.080 0.000 0.000 0.000 5.080 0.000 0.000 0.000 5.080" Properties=species:S:1:pos:R:3 comment="AlIn3Re, relaxed, DFT PBEsol" formation_energy_ev_per_atom=1.53 pbc="T T T"
In 0.000 2.540 0.000
In 2.540 0.000 0.000
In 0.000 0.000 2.540
Al 0.000 0.000 0.000
Re 2.540 2.540 2.540

---

4
Lattice="2.714 0.000 0.000 0.000 4.164 0.000 0.000 0.000 5.788" Properties=species:S:1:pos:R:3 comment="AlW2Cl, relaxed, DFT PBEsol" relative_energy_mev_per_atom=148 formation_energy_uncorrected_ev_per_atom=0.540 pbc="T T T"
Cl 1.357 2.082 4.703
Al 0.000 0.000 2.710
W 0.000 0.000 5.736
W 1.357 2.082 1.321

---

6
Lattice="5.495 -0.132 -0.198 -2.566 4.861 0.198 -2.566 -1.683 4.565" Properties=species:S:1:pos:R:3 comment="ScAu2, relaxed, DFT PBEsol" formation_energy_ev_per_atom=-0.46 pbc="T T T"
Sc -1.283 0.795 1.191
Sc -3.848 2.384 3.572
Au -2.078 0.196 3.837
Au 1.465 0.184 1.455
Au 2.442 2.851 0.728
Au -1.101 2.862 3.110

----------

Below is an optimized crystal structure of ZrZnBH2, with properties calculated at the PBE-GGA level.

Values from the calculation:
VASP energy, eV per atom: -4.166
N(E_F), states/eV/cell: 1.99

a = 3.6790 Å, b = 3.6790 Å, c = 4.7593 Å
α = 90.00°, β = 90.00°, γ = 90.00°
Space group P4/mmm (No. 123)
One atom of each set of equivalent atoms:
Zr (0.0000, 0.0000, 0.0000)
Zn (0.5000, 0.5000, 0.5000)
B (0.0000, 0.0000, 0.5000)
H (0.0000, 0.5000, 0.0000)

---

Below is an optimized crystal structure of Th2Co5Ge3, with properties calculated at the PBE-GGA level.

Values from the calculation:
Calculated formation energy, eV/atom: -0.311
N(E_F), states/eV/cell: 38.18
Energy relative to the lowest polymorph listed for this composition, eV per atom: 0.139

a = 4.0445 Å, b = 24.5562 Å, c = 6.5680 Å
α = 90.00°, β = 90.00°, γ = 90.00°
Space group Cmc2_1 (No. 36)
One atom of each set of equivalent atoms:
Th (0.0000, 0.0105, 0.0000)
Th (0.0000, 0.3214, 0.9996)
Co (0.0000, 0.0980, 0.5982)
Co (0.0000, 0.2116, 0.1840)
Co (0.0000, 0.2152, 0.7850)
Co (0.0000, 0.3706, 0.5190)
Co (0.0000, 0.4350, 0.8436)
Ge (0.0000, 0.1143, 0.2319)
Ge (0.0000, 0.2749, 0.4834)
Ge (0.0000, 0.4335, 0.2274)

---

Below is an optimized crystal structure of Pa3BiTe8, with properties calculated at the PBE-GGA level.

Values from the calculation:
Raw formation energy, eV/atom: -0.639
N(E_F), states/eV/cell: 27.39

a = 8.8343 Å, b = 8.8343 Å, c = 14.2414 Å
α = 90.00°, β = 90.00°, γ = 120.00°
Space group P6_3mc (No. 186)
One atom of each set of equivalent atoms:
Pa (0.1662, 0.3324, 0.0000)
Bi (0.3333, 0.6667, 0.2401)
Te (0.0000, 0.0000, 0.1219)
Te (0.0006, 0.5003, 0.1229)
Te (0.1641, 0.3282, 0.3858)
Te (0.3333, 0.6667, 0.8793)

---
Read on to learn more about her journey and how she's adjusting to life beyond the pool.
### Between two parts of the piece: materials data
'''
# 1
This record from Alexandria describes a relaxed structure of NaSbTe2C. The functional is GGA-PBEsol.

abc: 4.9819 4.9819 4.6417
angles: 90.00 90.00 90.00
Space group P4/mmm (No. 123)
Inequivalent atoms, fractional coordinates:
1 Na 0.0000 0.0000 0.0000 (multiplicity 1)
2 Sb 0.5000 0.5000 0.0000 (multiplicity 1)
3 Te 0.0000 0.5000 0.5000 (multiplicity 2)
4 C 0.5000 0.5000 0.5000 (multiplicity 1)

Results
spin magnetization	0.00	μB per formula unit
N(E_F)	2.47	states/eV per cell
formation energy (no corrections)	0.64	eV/atom
E	-19.448	eV per cell


# 2
This record from Alexandria describes a relaxed structure of SrLi2Tl. The functional is GGA-PBEsol.

abc: 8.3615 4.8011 5.7462
angles: 90.00 118.82 90.00
Space group C2/m (No. 12)
Inequivalent atoms, fractional coordinates:
1 Sr 0.0000 0.0000 0.0000 (multiplicity 2)
2 Li 0.2120 0.0000 0.6359 (multiplicity 4)
3 Tl 0.0000 0.5000 0.5000 (multiplicity 2)

Results
formation energy from the elements	-241.9	meV per atom
spin magnetization	0.00	μB per formula unit
N(E_F)	5.39	states/eV per cell
E	-18.743	eV per cell


# 3
This record from Alexandria describes a relaxed structure of LaBeInPt2. The functional is GGA-PBEsol.

abc: 5.1396 5.1396 6.0150
angles: 90.00 90.00 90.00
Space group P4/mmm (No. 123)
Inequivalent atoms, fractional coordinates:
1 La 0.0000 0.0000 0.0000 (multiplicity 1)
2 Be 0.5000 0.5000 0.5000 (multiplicity 1)
3 In 0.0000 0.0000 0.5000 (multiplicity 1)
4 Pt 0.0000 0.5000 0.0000 (multiplicity 2)

Results
formation energy from the elements	1366.7	meV per atom
spin magnetization	0.00	μB per formula unit
N(E_F)	3.69	states/eV per cell
E	-19.423	eV per cell


# 4
This record from Alexandria describes a relaxed structure of KMnCo. The functional is GGA-PBEsol.

abc: 4.8378 4.8378 2.7302
angles: 90.00 90.00 120.00
Space group P-6m2 (No. 187)
Inequivalent atoms, fractional coordinates:
1 K 0.0000 0.0000 0.0000 (multiplicity 1)
2 Mn 0.3333 0.6667 0.5000 (multiplicity 1)
3 Co 0.6667 0.3333 0.5000 (multiplicity 1)

Results
formation energy from the elements	1372.7	meV per atom
spin magnetization	5.53	μB per formula unit
N(E_F)	3.39	states/eV per cell
E	-14.514	eV per cell


# 5
This record from Alexandria describes a relaxed structure of ZrScSb2. The functional is GGA-PBEsol.

abc: 4.0649 4.0649 20.2595
angles: 90.00 90.00 120.00
Space group R-3m (No. 166, hexagonal axes)
Inequivalent atoms, fractional coordinates:
1 Zr 0.0000 0.0000 0.0000 (multiplicity 3)
2 Sc 0.0000 0.0000 0.5000 (multiplicity 3)
3 Sb 0.0000 0.0000 0.2491 (multiplicity 6)

Results
spin magnetization	0.00	μB per formula unit
N(E_F)	6.13	states/eV per cell
formation energy (no corrections)	-0.81	eV/atom
E	-84.109	eV per cell
polymorph energy (0 for the lowest one)	0.00	eV/f.u.


# 6
This record from Alexandria describes a relaxed structure of BaPI2. The functional is GGA-PBEsol.

abc: 5.4408 5.4408 20.5574
angles: 90.00 90.00 90.00
Space group I-42d (No. 122)
Inequivalent atoms, fractional coordinates:
'''
### End of the materials data

This September was the first time since I was eight years old that I did not start a new season in swimming. For 18 years that had been a constant for me. And the majority of it wrapped up with the start of the school year also. As the summer ended and the days grow ever shorter it's hard not to think about where I usually was and where I am right now.
Typically, the last quarter of the year was dominated by long sessions in the pool, DOMS, competitions around the country and managing a weakened immune system. I say all this with a tone of nostalgia, a fondness in my heart for all of the minor inconveniences and sacrifices. Because without all of those I would not be where I am today, sat in the present, feeling pride towards my career.
So how has it all been going since retiring? It’s great. I truly feel like for the first time in my adult life I have the time and energy to invest into the other areas of life which I had to neglect for so long whilst being a competitive athlete. And again, let me stress that this is not a complaint, just a comment on the nature of what that profession demands from individuals and their support networks. I have found myself able to try new things, sleeping better, happier and less stressed. I was always anxious about letting go of swimming (competitively) as it was a constant in my life. But I am happy I have embraced moving on and, in turn, it has embraced me.
And do you still swim? I have been asked this a lot recently and my first response is always ‘not as much as I would like’. I recognise my relationship with swimming has changed drastically over the past 11 months and I am grateful for that. I no longer look at a swimming pool and think I need to complete a 6k session for it to be a worthwhile swim. And thankfully, when I made the choice to end my career I did not leaving swimming hating the sport and never wanting to see a pool again. In truth, I am enjoying finding other ways of moving my body. But forever grateful for the fact that swimming will always be there for me to return to, be it on holiday or in the middle of a UK winter.
Written by Alice Dearing.
____________
The following is a DFT calculation (PBE+U) of a geometry-optimized VP2BrO structure.

Cell and atoms, written as POSCAR:
```
VP2BrO
1.0
4.778 0.000 0.000
0.000 4.778 0.000
0.000 0.000 3.703
V P Br O
1 2 1 1
Direct
0.000 0.000 0.000
0.000 0.500 0.000
0.500 0.000 0.000
0.500 0.500 0.500
0.000 0.000 0.500
```

- V (Å³ per cell) = 84.6
- theoretical density (Mg/m³) = 4.1
- ΔE to the lowest computed polymorph (eV per atom) = 0.000
- E (eV per formula unit) = -24.35
- space-group type = P4/mmm, No. 123
____________
You can follow Alice on her social channel here to keep up to date with her life after retirement, and see what she is getting up to day to day.